Friday 27 September 2013

Marketing and PR: The Big Six Questions

What is Marketing?

Marketing is the process of communicating the value of a product or service to customers, for the purpose of selling the product or service. It is a critical business function for attracting customers.
Lots of companies have different interpretations of what marketing is for example;
  • promoting a product.
  • financing/budgeting a product.
  • selling a product.
  • USP'S.
  • understanding the audience.
This industry is competitive and to get your product out there and recognised you need to take a lot of things in to consideration including; who your market is, developing your product to the highest standard, pricing and placing products and promotions.

What is involved in a marketing campaign?

There are many aspects of a marketing campaign including promotional activities which could include; street promotion such as handing out leaflets, endorsements, sponsorships and events such as premiers or parties. There is also Print Marketing which could include; adverts, posters, leaflets. Then there is also Direct Marketing; this includes a lot of ways of marketing a product, such as the internet; using social networking, YouTube, viral marketing, emails and the most effect way of marketing; Word of Mouth. 

(Unrelated to this piece: crystal structures)
********
# 1
Diffraction record for CuSb5Mo3. The XRD peak list is theoretical, not measured: it uses a GGA-PBE-relaxed structure and Cu Kα (λ = 1.5418 Å).
Neutral-atom scattering factors, no anomalous dispersion.

Main lines, by angle (15° ≤ 2θ ≤ 90°):
- 2θ 28.5, intensity 52, hkl 1 0 2
- 2θ 32.4, intensity 98, hkl 0 0 3
- 2θ 37.6, intensity 20, hkl 2 0 0
- 2θ 39.2, intensity 65, hkl 2 0 1
- 2θ 43.7, intensity 100, hkl 0 0 4
- 2θ 55.5, intensity 26, hkl 1 1 4
- 2θ 67.9, intensity 27, hkl 2 2 0
- 2θ 84.3, intensity 35, hkl 2 2 4

Structural model:
```
data_CuSb5Mo3
_cell_length_a 5.5220
_cell_length_b 5.5220
_cell_length_c 8.2772
_cell_angle_alpha 90.00
_cell_angle_beta 90.00
_cell_angle_gamma 120.00
_symmetry_space_group_name_H-M 'P 6/m m m'
_symmetry_Int_Tables_number 191
_symmetry_space_group_name_Hall '-P 6 2'
loop_
_atom_site_label
_atom_site_fract_x
_atom_site_fract_y
_atom_site_fract_z
_atom_site_occupancy
Cu1 0.0000 0.0000 0.0000 1
Sb1 0.0000 0.0000 0.5000 1
Sb2 0.3333 0.6667 0.2096 1
Mo1 0.0000 0.5000 0.5000 1
```

***

# 2
Diffraction record for Hf2Be. The XRD peak list is theoretical, not measured: it uses a GGA-PBE-relaxed structure and Cu Kα (λ = 1.5418 Å).
Neutral-atom scattering factors, no anomalous dispersion.

Main lines, by angle (15° ≤ 2θ ≤ 90°):
- 2θ 19.5, intensity 100, hkl 1 1 1
- 2θ 37.9, intensity 63, hkl 3 1 1
- 2θ 39.6, intensity 71, hkl 2 2 2
- 2θ 46.1, intensity 34, hkl 4 0 0
- 2θ 50.5, intensity 26, hkl 3 3 1
- 2θ 61.1, intensity 21, hkl 5 1 1
- 2θ 67.2, intensity 24, hkl 4 4 0
- 2θ 80.9, intensity 27, hkl 6 2 2

Structural model:
a = 7.8818 Å, b = 7.8818 Å, c = 7.8818 Å
α = 90.00°, β = 90.00°, γ = 90.00°
Space group Fd-3m (No. 227, origin choice 2)
Unique sites:
Hf: 0.0000 0.0000 0.0000
Be: 0.1250 0.1250 0.6250

***

# 3
Diffraction record for MgCdP4Pd2. The XRD peak list is theoretical, not measured: it uses a GGA-PBE-relaxed structure and Cu Kα (λ = 1.5418 Å).
Neutral-atom scattering factors, no anomalous dispersion.

Main lines, by angle (15° ≤ 2θ ≤ 90°):
- 2θ 17.6, intensity 19, hkl 1 0 1
- 2θ 27.5, intensity 100, hkl 1 1 2
- 2θ 31.6, intensity 14, hkl 2 0 0
- 2θ 45.2, intensity 18, hkl 2 2 0
- 2θ 45.8, intensity 37, hkl 2 0 4
- 2θ 53.7, intensity 29, hkl 3 1 2
- 2θ 54.7, intensity 14, hkl 1 1 6
- 2θ 73.6, intensity 11, hkl 1 3 6

Structural model:
```
data_MgCdP4Pd2
_cell_length_a 5.6688
_cell_length_b 5.6688
_cell_length_c 11.0936
_cell_angle_alpha 90.00
_cell_angle_beta 90.00
_cell_angle_gamma 90.00
_symmetry_space_group_name_H-M 'I -4'
_symmetry_Int_Tables_number 82
loop_
_symmetry_equiv_pos_as_xyz
'x,y,z'
'y,-x,-z'
'-x,-y,z'
'-y,x,-z'
'x+1/2,y+1/2,z+1/2'
'y+1/2,-x+1/2,-z+1/2'
'-x+1/2,-y+1/2,z+1/2'
'-y+1/2,x+1/2,-z+1/2'
loop_
_atom_site_label
_atom_site_fract_x
_atom_site_fract_y
_atom_site_fract_z
_atom_site_occupancy
Mg1 0.0000 0.0000 0.0000 1
Cd1 0.0000 0.5000 0.7500 1
P1 0.2060 0.7477 0.3762 1
Pd1 0.0000 0.0000 0.5000 1
Pd2 0.0000 0.5000 0.2500 1
```

***

# 4
********

What is PR?

PR stands for Public Relations. It is about managing the message, some people see it as exposure. PR is important for a organisation because it communicates a message in a way that doesn't put a mass audience off and the public depends on it. 

How has marketing strategy/technique changed over the past 10 years?

The main way marketing technique has changed over the past 10 years is technology; mainly the internet. There are many ways to market a product in the 21st Century over the internet, such as social networking; marketeers have created Twitter accounts with their own hashtags for example. 
Marketeers have insured their techniques are more direct and are individualised for example the iPhone 5C creating different colours. 

How has our understanding of marketing audiences changed in the 21st Century?

As an audience we have higher expectations and higher demands for products. There is also a bigger status when it comes to high expectations of these products for example Apple; it's like being in a club if you have an Apple product. 
We also have more power over products than ever before; we say what we want and the companies have to listen. Social Media also has a big impact in the way consumers interact with the organisations such as Tweeting our opinion on a new product; spreading the opinion across the internet with carries all around the world.

[These data records were left in the piece by mistake]
'''
(1)
Structure and simulated powder diffraction line list of GeBr2F10 (a crystal structure in the Materials Project, relaxed with PBE; Cu Kα, 1.54184 Å).
Kinematic intensities with the Lorentz-polarization factor, no thermal factor.

Most intense lines, 2θ = 10–80°, by angle:
hkl 0 0 2, 2θ 12.48, rel. 31
hkl 0 1 -2, 2θ 19.39, rel. 98
hkl 1 -1 1, 2θ 20.19, rel. 41
hkl 1 0 -2, 2θ 22.35, rel. 79
hkl -1 1 2, 2θ 22.96, rel. 50
hkl 0 1 3, 2θ 23.97, rel. 100
hkl 1 0 3, 2θ 26.45, rel. 55
hkl 1 1 0, 2θ 27.57, rel. 70
hkl 1 -1 4, 2θ 31.80, rel. 30
hkl -1 3 1, 2θ 42.96, rel. 30

Structural model:
```
data_GeBr2F10
_chemical_formula_sum 'Ge2 Br4 F20'
_cell_length_a 5.132
_cell_length_b 6.402
_cell_length_c 14.186
_cell_angle_alpha 90.00
_cell_angle_beta 90.00
_cell_angle_gamma 110.57
_symmetry_space_group_name_H-M 'P 1'
_symmetry_Int_Tables_number 1
loop_
_symmetry_equiv_pos_as_xyz
'x,y,z'
loop_
_atom_site_label
_atom_site_type_symbol
_atom_site_fract_x
_atom_site_fract_y
_atom_site_fract_z
Ge1 Ge 0.000 0.000 0.000
Ge2 Ge 0.499 0.505 0.501
Br1 Br 0.160 0.836 0.371
Br2 Br 0.349 0.670 0.869
Br3 Br 0.661 0.330 0.136
Br4 Br 0.852 0.180 0.637
F1 F 0.059 0.065 0.327
F2 F 0.062 0.605 0.788
F3 F 0.109 0.839 0.081
F4 F 0.204 0.236 0.538
F5 F 0.237 0.955 0.905
F6 F 0.277 0.553 0.405
F7 F 0.298 0.263 0.043
F8 F 0.401 0.666 0.585
F9 F 0.443 0.902 0.286
F10 F 0.453 0.444 0.830
F11 F 0.562 0.097 0.715
F12 F 0.565 0.558 0.180
F13 F 0.618 0.339 0.420
F14 F 0.706 0.734 0.968
F15 F 0.744 0.455 0.600
F16 F 0.765 0.052 0.096
F17 F 0.791 0.758 0.466
F18 F 0.884 0.165 0.922
F19 F 0.948 0.402 0.218
F20 F 0.949 0.943 0.680
```

(2)
Structure and simulated powder diffraction line list of CeSi2Ir3 (a crystal structure in the Materials Project, relaxed with PBE; Cu Kα, 1.54184 Å).
Kinematic intensities with the Lorentz-polarization factor, no thermal factor.

Most intense lines, 2θ = 10–80°, by angle:
hkl 0 0 1, 2θ 23.89, rel. 30
hkl 1 0 1, 2θ 30.29, rel. 67
hkl 2 0 0, 2θ 37.20, rel. 100
hkl 1 1 1, 2θ 40.38, rel. 51
hkl 2 0 1, 2θ 44.70, rel. 55
hkl 0 0 2, 2θ 48.91, rel. 19
hkl 2 1 1, 2θ 56.07, rel. 24
hkl 3 0 1, 2θ 62.84, rel. 14
hkl 2 0 2, 2θ 63.01, rel. 44
hkl 2 2 0, 2θ 67.07, rel. 23

Structural model:
```
data_CeSi2Ir3
_chemical_formula_sum 'Ce1 Si2 Ir3'
_cell_length_a 5.5817
_cell_length_b 5.5817
_cell_length_c 3.7246
_cell_angle_alpha 90.00
_cell_angle_beta 90.00
_cell_angle_gamma 120.00
_symmetry_space_group_name_H-M 'P 6/m m m'
_symmetry_Int_Tables_number 191
_symmetry_space_group_name_Hall '-P 6 2'
loop_
_atom_site_label
_atom_site_type_symbol
_atom_site_fract_x
_atom_site_fract_y
_atom_site_fract_z
Ce1 Ce 0.0000 0.0000 0.0000
Si1 Si 0.3333 0.6667 0.0000
Ir1 Ir 0.0000 0.5000 0.5000
```

(3)
Structure and simulated powder diffraction line list of MgSO5 (a crystal structure in the Materials Project, relaxed with PBE; Cu Kα, 1.54184 Å).
Kinematic intensities with the Lorentz-polarization factor, no thermal factor.

Most intense lines, 2θ = 10–80°, by angle:
'''

What is more important, the product or the marketing?

I think it's a mixture of both. The marketing because people are going to be enticed to buy a product and what is being said about it rather than the actual product. But then the product is important because of a status the product holds and the status the company hold.